Taiwanese scholars and experts believe that after the Chinese official meeting with the US President Biden, the Chinese and American military communication mechanisms were fully recovered and returned to the former American House of Representatives Nancy Pelosi to visit Taiwan in August 2022.But there are structural contradictions between the two sides, and there are still many variables in the future.

The National Policy Research Institute held a symposium on "Observation of the focus of the United States and China and APEC Summit" on Friday (November 17). Participants and reminded Taiwan to strengthen their strength in orderChallenge.

Lin Zhengyi, a researcher at the European and American Research Institute of the Central Academy of Sciences, believes that this time the worship was not just returning to the Bali Island to meet last year, but returned to Perosi to visit Taiwan.Almost all the Sino -US frozen projects have recovered, and the deadlock in China and the United States has turned over.

But Lin Zhengyi also pointed out that there are still many variables in Sino -US relations, which will not be smooth sailing, including continuous warfare warfare around the South China Sea and the Taiwan Strait, and scientific and technological surrounds, high tariffs and economic and trade war will continue.

Gao Shuotai, a former representative of Taiwan in the United States and a senior consultant of the National Policy Institute, said that the Xi -worship meeting was that there was a need for China and the United States. As a result, the atmosphere was improved, but the mutual trust was still insufficient.

Su Ziyun, director of the National Defense Strategy and Resources Research Institute of the National Defense Security Research Institute, described that this Xi -worship meeting was to install the "political fuse" because the Chinese military report of the US Department of Defense announced that there were 180 dangers in China and US military aircraft in the past two years.In contact, it is necessary to restore communication and reduce tension. At the same time, the importance of the stability of the stability of the Taiwan Star of the Seven Group (G7) and the Bayeon Researching Taiwan Sea also shows that Taiwan's strategic position has been confirmed again.

Li Baowen, an associate professor of the Institute of China and the Asia -Pacific Regional Research Institute of Kaohsiung University, pointed out that the strategic confrontation between China and the United States belongs to a structural contradiction.For the United States, "pursuing dialogue and reducing misjudgments" is the responsibility and obligation of the United States as the power of Indo -Pacific to avoid the transformation of strategic competition between China and the United States into a military conflict.Therefore, the logic of the United States is "confrontation when the confrontation should be confrontated, and the dialogue should be dialogue."

He believes that the downward pressure on the mainland of China has made its foreign policies not change the space, from confrontation to cooperation, and continue to have a high probability of competition, and the decline of the mainland may be more dangerous than the rise of the mainland. After all, if the beauty is beautifulMiddle conflict or conflict between the Taiwan Strait must occur. The mainland has the motivation to mobilize military operations before completely recession and weakness to avoid being completely subject to people.

Ma Zhenkun, a professor at the Institute of Military Affairs of the Communist Party of China of the National Defense University, said that there are also structural contradictions in the Sino -US military relations. The consensus of Xi Make -worship will help restart the military communication between China and the United States, but it does not help improve the military relations between China and the United States.

He explained that this structural contradiction is that the CCP adheres to the Taiwan Strait, the South China Sea, and the East China Sea belongs to the core interests of China.Outside the East China Sea; the United States has established a security order with its military hegemony as its core since World War II, and has maintained the military existence of the United States in the region with the garrison of Japan, South Korea and the Philippines.

Inserted here: quantum chemistry results
~~~
1.
Density functional theory data (ωB97M-V/def2-TZVPD) for a cluster of 3 separate species, C13H38BN5O4P in total at a distorted geometry.

XYZ file:
```
62
Properties=species:S:1:pos:R:3
C 5.20 -0.76 -2.11
C -0.78 0.64 2.42
H 0.39 0.56 2.61
O -3.04 4.83 1.14
H -2.84 -4.18 -3.24
H 3.91 -0.15 0.66
N -0.12 4.56 4.39
H -1.78 -1.57 -2.30
H 0.60 0.54 -0.39
C 4.21 0.43 -2.15
O -0.45 2.08 5.67
H -0.52 4.12 1.80
H 1.09 2.31 1.07
H -4.09 -2.93 -3.09
H -0.94 -0.98 0.72
H 4.73 1.39 -2.07
C -3.77 -4.06 -1.25
C -3.09 -2.86 -0.55
H -3.27 3.22 -1.28
H -3.51 -1.91 -0.88
C -3.80 -3.94 -2.78
C 6.17 -0.71 -0.93
H -1.05 4.92 4.06
H -4.81 -4.09 -0.91
C -1.16 -2.37 -1.88
H -0.15 -1.98 -1.72
H -4.00 4.77 0.85
H 0.34 3.12 -0.49
H -2.26 0.40 0.70
H 3.72 0.42 -3.13
H 6.57 0.30 -0.79
C -1.02 3.10 1.43
H -3.64 1.97 -0.13
H -4.54 -4.63 -3.20
H -2.12 -5.22 -1.04
H 0.66 5.08 3.91
O 3.15 0.35 -1.19
C 3.52 0.72 0.13
H 2.62 1.05 0.65
H -3.31 -2.94 0.52
O -1.66 -2.85 -0.64
C -1.10 0.19 0.86
H 4.25 1.53 0.14
C -1.25 2.18 2.78
N -3.13 -5.33 -0.89
H -0.85 1.16 -0.99
H 7.02 -1.38 -1.12
H 3.93 -2.12 -2.95
H -1.08 -3.20 -2.59
H -0.40 1.08 5.58
H -2.35 2.14 3.17
P 0.01 2.80 4.12
H -1.28 -0.18 3.12
H 5.72 -1.04 0.00
B -2.42 3.55 0.67
N -2.94 2.67 -0.45
H 3.80 -2.01 -1.35
C 0.09 2.41 0.42
N -0.29 1.04 -0.10
H 5.81 -0.71 -3.03
N 4.50 -2.05 -2.11
H -3.20 -5.46 0.12
```

The calculated total energy comes out at -39695.9755 eV. The calculation puts the HOMO energy at -11.237 eV. As for the total charge: +1. Its LUMO energy is -0.1046 hartree.



2.
Density functional theory data (ωB97M-V/def2-TZVPD) for a cluster of 6 separate species, C13H38BrN2O7 in total at a distorted geometry.

XYZ file:
```
61
Properties=species:S:1:pos:R:3
O -5.27 -3.45 1.08
H 1.89 -7.84 2.06
C -6.18 -3.02 0.09
H -5.84 1.68 -0.87
C 0.82 -7.91 2.26
H 2.27 0.52 -3.46
H -7.78 5.00 0.26
C 3.51 -1.96 -2.18
H -6.15 1.96 0.88
C 3.42 -0.87 -3.15
H -6.13 4.20 -1.28
H 3.84 -1.59 -1.21
O -4.47 2.89 0.02
O 3.54 5.07 1.63
C 4.62 6.04 1.81
H 1.70 -1.74 -4.45
C 2.49 -0.60 -6.74
C 2.70 -1.32 -4.45
C -6.56 3.65 -0.44
H 3.36 -1.19 -7.04
C 0.87 3.73 3.96
H 1.64 -1.18 -7.10
H 0.44 4.69 4.26
C 0.13 -6.63 1.74
H 1.82 -0.32 -2.18
H 2.31 5.88 3.23
Br -1.25 -1.18 0.61
H -7.49 3.25 -0.84
H 1.56 3.39 4.73
C 1.60 3.98 2.67
H 2.68 2.24 2.82
O -7.05 4.51 0.65
H 2.57 -2.43 -1.89
H -4.44 -2.97 1.01
O 0.68 -8.12 3.62
H -6.69 -2.11 0.41
H 4.20 -2.74 -2.48
H -0.87 -6.61 2.16
H -5.70 -2.84 -0.86
H -3.90 2.15 0.24
C 2.78 4.96 2.89
H 5.22 5.67 2.64
H 0.91 4.37 1.93
H 2.47 0.29 -7.38
H 3.43 4.58 3.67
H 4.44 -0.54 -3.32
H 0.49 -4.71 1.62
H 1.06 -7.31 3.97
H 0.49 -8.82 1.75
H 5.20 6.12 0.90
H 4.25 7.03 2.07
N 2.60 0.19 -2.56
H 1.39 2.06 1.94
N 2.13 2.71 2.12
H 0.02 3.06 3.86
O 2.58 -0.22 -5.36
O 0.95 -5.46 2.01
H -7.03 -3.67 -0.14
H 0.10 -6.81 0.66
C -5.77 2.40 -0.05
H 3.38 -2.10 -4.80
```
~~~

In other words, the core interests advocated by Beijing mean to change the status quo of regional security, and maintaining the existing security order is a major US strategic interest.

Calculated molecules that have nothing to do with the article
(1)
Molecular formula: C57H64N11O2SiY
Method: DFT, ωB97M-V/def2-TZVPD

```
136
Properties=species:S:1:pos:R:3:forces:R:3
Y -0.537 -0.487 -0.419 -0.79 0.19 -0.30
O -0.015 -1.402 -4.974 -0.06 -0.04 0.16
C 0.053 -1.474 -3.751 -0.14 0.18 0.08
N -0.860 -1.027 -2.850 -0.30 -0.07 -0.02
C -2.152 -0.895 -3.359 0.32 0.15 -0.01
O -2.762 -1.723 -3.994 0.03 -0.24 -0.07
C -2.778 0.451 -3.129 0.17 0.02 0.07
C -3.673 0.923 -4.080 -0.09 0.01 -0.03
C -4.098 2.236 -3.996 -0.03 0.00 -0.02
C -3.626 3.013 -2.951 -0.03 0.05 0.07
C -2.774 2.433 -2.025 0.08 -0.05 0.10
N -2.337 1.175 -2.103 -0.03 0.25 -0.12
C 1.303 -2.066 -3.146 0.01 -0.06 0.16
C 2.234 -2.657 -3.988 0.06 -0.03 -0.06
C 3.312 -3.324 -3.431 0.02 0.02 -0.06
C 3.417 -3.381 -2.050 0.09 -0.15 -0.03
C 2.458 -2.738 -1.291 -0.38 -0.15 -0.05
N 1.422 -2.078 -1.815 -0.19 0.22 0.08
H -3.983 0.256 -4.873 0.00 0.02 0.02
H -4.778 2.647 -4.734 0.04 -0.02 0.04
H -3.928 4.047 -2.827 0.03 -0.07 -0.02
H -2.439 3.010 -1.170 -0.04 -0.08 -0.07
H 2.066 -2.591 -5.054 0.01 -0.01 0.02
H 4.049 -3.804 -4.064 -0.04 0.02 0.04
H 4.223 -3.909 -1.552 -0.06 0.04 -0.05
H 2.516 -2.759 -0.214 -0.09 -0.09 -0.02
C -6.542 -4.408 2.381 0.04 0.05 -0.04
C -5.606 -3.332 1.882 -0.06 -0.04 0.07
C -5.564 -2.065 2.462 -0.02 0.10 0.08
C -4.666 -1.115 2.028 -0.03 0.06 0.10
C -3.762 -1.317 0.960 0.20 0.40 0.24
N -2.882 -0.291 0.580 0.23 -0.24 -0.24
C -3.499 0.964 0.631 0.02 -0.34 -0.08
C -4.764 1.183 0.052 -0.12 -0.05 -0.12
C -5.393 2.409 0.057 -0.06 0.05 -0.04
C -4.792 3.535 0.627 -0.02 0.05 -0.06
C -5.438 4.901 0.577 0.06 -0.11 0.00
C -3.554 3.345 1.210 0.15 0.01 0.15
C -2.937 2.091 1.233 0.34 0.15 0.25
N -1.717 1.984 1.974 -0.17 0.04 -0.12
C -1.490 2.466 3.215 -0.07 -0.04 -0.03
C -0.179 2.194 3.531 0.06 0.08 0.01
C 0.317 1.527 2.402 0.27 0.14 0.02
N -0.609 1.408 1.463 -0.25 -0.09 -0.19
C -3.815 -2.590 0.398 0.09 -0.34 -0.24
C -4.701 -3.569 0.869 0.15 -0.04 -0.22
N -2.935 -2.995 -0.664 -0.19 0.26 0.28
C -3.250 -3.894 -1.623 -0.13 0.08 0.04
C -2.081 -4.429 -2.094 0.17 -0.19 -0.07
C -1.081 -3.791 -1.346 -0.01 -0.04 -0.06
N -1.586 -2.907 -0.494 -0.21 -0.09 -0.11
H -7.525 -3.996 2.620 0.06 -0.02 -0.03
H -6.156 -4.881 3.289 -0.01 0.04 -0.04
H -6.678 -5.193 1.633 0.02 0.07 0.05
H -6.232 -1.828 3.287 0.07 -0.01 -0.08
H -4.642 -0.153 2.529 -0.02 -0.04 -0.03
H -5.248 0.335 -0.421 0.01 0.04 0.02
H -6.365 2.509 -0.419 0.07 -0.02 0.03
H -6.473 4.831 0.242 0.02 -0.01 0.02
H -4.912 5.567 -0.114 -0.02 -0.04 0.02
H -5.434 5.385 1.557 0.00 -0.03 -0.02
H -3.041 4.182 1.682 -0.03 -0.09 -0.05
H -2.284 2.932 3.782 0.11 -0.05 -0.12
H 0.341 2.423 4.450 -0.09 -0.07 -0.15
H 1.295 1.104 2.222 -0.01 0.10 -0.03
H -4.659 -4.556 0.421 0.02 0.05 -0.01
H -4.279 -4.071 -1.905 0.18 0.04 0.11
H -1.962 -5.159 -2.881 0.00 0.16 0.13
H -0.017 -3.927 -1.399 0.03 0.03 -0.06
C 0.558 -1.531 1.479 0.23 -0.02 0.06
Si 2.219 -1.622 2.242 0.01 0.03 0.24
C 3.528 -0.294 1.770 0.25 0.21 -0.39
N 3.229 0.587 0.617 -0.21 -0.16 0.25
C 3.682 1.970 0.773 0.04 -0.27 -0.11
C 5.170 2.184 0.514 0.09 -0.02 -0.01

In addition, Chinese officials have denied a plan to move Taiwan in 2027 or 2035 in the Xi -worship meeting, reiterating peace and unity, but it does not rule out the use of force.

Jie Zhong, an associate researcher at the National Policy Research Foundation of the Kuomintang Think Tank, believes that at this stage, although the CPC Central Committee has a "unified road diagram" on both sides of the strait, there is no rigid "unified time table", and naturally there will be no "attack time time.surface".

But this does not mean that the two sides of the strait have been separated from the "mighty war" situation. As long as the cross -strait changes have made the CCP unacceptable, such as Taiwan's pursuit of legal Taiwan independence or military accidents, it is very likely to cause war.